Material =
+++
VASP calculation (PBE-GGA) on a relaxed Be2AgOsN crystal.

Cell: 3.874 3.824 3.874 Å, 90.00 90.00 90.00°
Positions (direct):
Be  0.000  0.000  0.500
Be  0.500  0.000  0.000
Os  0.000  0.500  0.000
Ag  0.500  0.500  0.500
N  0.000  0.000  0.000

Output
**Energy relative to the elements, uncorrected**: 0.34 eV per atom
**Crystal system**: tetragonal
**V**: 11.48 Å³/atom
+++

Wanted =
What is needed: echo the lines earlier on from the one with "Output" to the one with "Å³/atom" character by character.

Written answer =
Output
**Energy relative to the elements, uncorrected**: 0.34 eV per atom
**Crystal system**: tetragonal
**V**: 11.48 Å³/atom